Shift- Second Gear

TheBytemaster 50

Update 2.0:

-Fixes some tempo issues. //maybe


A huge thanks to esutter479 and pandaman64 for the suggestions, they've opened my eyes to how useful Career Fair really is. I used to think it was just an inferior, less-versatile modded for influence-strapped criminals.

I was very, very wrong.

  • Assuming you were clicking for credits, (which, before this revision, was happening more than I care to admit), Data Folding used to take an entire turn's worth of clicks to install and come out even. With a Career Fair, it takes one click.

  • It works even better with Earthrise, taking it down to 1 credit to install, (which makes being rich enough to use the cards coming your way a lot easier), and also freeing up two hand slots for the next turn draw.

  • Free Daily Casts installs.

Needless to say, I am now a believer.

Anyways, tempo improvements and slimming aside some notes:

Unrelated to this entry: calculated crystals
~~~
Computed, not measured: a geometry-optimized Zn2PtCl structure at the GGA-PBE level of DFT.

M_tot ... 0.00 μB per cell
Uncorrected energy ... -3.075 eV/atom
Fermi-level density of states ... 0.695 states/eV/cell
Formation energy from raw total energies ... -0.466 eV per atom
Polymorph energy (0 for the lowest one) ... 26.7 meV per atom
Calculated density ... 8.410 g/cm³

Geometry as extended XYZ:
```
4
Lattice="3.3932 0.0000 0.0000 0.0000 2.9788 0.0000 -0.0081 0.0000 7.0591" Properties=species:S:1:pos:R:3 pbc="T T T"
Zn 0.0004 0.0000 1.4225
Zn 3.3847 0.0000 5.6366
Pt 1.6966 1.4894 0.0000
Cl -0.0041 1.4894 3.5295
```

=====

# 1
VASP calculation (PBEsol) on an optimized crystal structure of Zr4SiPb.

Calculated values
- formation energy without anion corrections (kcal/mol of atoms) = 5.53
- space group = No. 216
- total DFT energy (no corrections) (eV/atom) = -7.444
- mass density (g/cm³) = 7.740
- DOS(E_F) (states/eV per atom) = 1.1190
- spin magnetization (μB per formula unit) = 0.00

Cell lengths 5.668, 5.668, 5.668 Å; angles 60.00, 60.00, 60.00 degrees
Element x y z (fractional)
1 Pb 0.750 0.750 0.750
2 Zr 0.375 0.876 0.375
3 Zr 0.375 0.375 0.876
4 Zr 0.375 0.375 0.375
5 Zr 0.876 0.375 0.375
6 Si 0.000 0.000 0.000

# 2
VASP calculation (PBEsol) on an optimized crystal structure of Zr5SiPb3.

Calculated values
- formation energy without anion corrections (kcal/mol of atoms) = -12.53
- space group = No. 193
- total DFT energy (no corrections) (eV/atom) = -7.565
- mass density (g/cm³) = 9.589
- DOS(E_F) (states/eV per atom) = 0.7215
- spin magnetization (μB per formula unit) = 0.00

Cell lengths 5.868, 8.681, 8.681 Å; angles 120.00, 90.00, 90.00 degrees
Element x y z (fractional)
1 Zr 0.500 0.667 0.333
2 Zr 0.750 0.000 0.256
3 Zr 0.250 0.256 0.256
4 Zr 0.750 0.256 0.000
5 Zr 0.250 0.000 0.744
6 Zr 0.000 0.667 0.333
7 Zr 0.250 0.744 0.000
8 Zr 0.750 0.744 0.744
9 Zr 0.000 0.333 0.667
10 Zr 0.500 0.333 0.667
11 Pb 0.750 0.393 0.393
12 Pb 0.750 0.000 0.607
13 Pb 0.750 0.607 0.000
14 Pb 0.250 0.000 0.393
15 Pb 0.250 0.393 0.000
16 Pb 0.250 0.607 0.607
17 Si 0.500 0.000 0.000
18 Si 0.000 0.000 0.000

# 3
VASP calculation (PBEsol) on an optimized crystal structure of ZrSiPb2.

Calculated values
- formation energy without anion corrections (kcal/mol of atoms) = 3.32
- space group = No. 47
- total DFT energy (no corrections) (eV/atom) = -5.564
- mass density (g/cm³) = 9.694
- DOS(E_F) (states/eV per atom) = 0.6659
- spin magnetization (μB per formula unit) = 0.00

Cell lengths 4.164, 4.339, 5.060 Å; angles 90.00, 90.00, 90.00 degrees
Element x y z (fractional)
1 Pb 0.000 0.000 0.000
2 Pb 0.500 0.500 0.000
3 Si 0.500 0.000 0.500
4 Zr 0.000 0.500 0.500

# 4
VASP calculation (PBEsol) on an optimized crystal structure of Sm5Pb3.

Calculated values
- space group = No. 193
- total DFT energy (no corrections) (eV/atom) = -5.264
- mass density (g/cm³) = 9.473
- energy relative to the elements (eV per atom) = -0.582
- DOS(E_F) (states/eV per atom) = 0.8140
~~~
The calculated crystals stop here

  • I removed the 3x Traffic Jam entirely. They weren't really doing anything for me. I feel it's better to set up faster and apply pressure with runs than to spend precious resources hoping to slow the corp down.

  • Access to Globalsec is now a 2-of. I'm not entirely sure on this one, I may bring it back up to three just to ensure more consistency.

  • Virus Breeding Ground is also a 2-of. So far this has been workable. I might try to fit one back in later, having one up somewhat early is really nice.

  • Minus one Net-Ready Eyes to free up influence. Having two in the deck wasn't that useful. There are a lot fewer situations where +1 Darwin strength would make a big difference than I thought. Great for Chameleon though.

  • Plus one Medium! Once you get an initial counter on it, you can just click it up with Virus Breeding Ground and make a single big run, instead of needing to charge it by running over and over. A lot easier on the credit pool that way. Just make sure you have your console out, or you'll shut off Data Folding. This could also be an Imp

  • Three Earthrise Hotel; Great for getting set up quickly, esp. if you can use a Career Fair on it. With the mainly drip economy, timing when you play it is important.

  • Turntable instead of Vigil. Vigil really wasn't doing much for me, turntable is more interesting.

Other notes

I find Chameleon can be a nasty surprise for the corp, especially if you have either of your two strength-changing cards out. Often a good idea to keep it hidden until the corp thinks they've put one over on you by purging or killing Darwin.

Ice Carver is kind of tricky to use right. Remember that it can bring a handful of nasty 5-strength ice down to 4, out of D4v1d range, but still out of Chameleon range unless you have Net-Ready Eyes out too. (Most notably, Turing on remote, Ichi 2.0, Tollbooth, and Grim.) Thinking about swapping this out for something else.

I usually find that the best use of Déjà Vu is to recur D4v1d. With e3 Feedback Implants. it makes a lot of runs very cheap.

Any/all suggestions, criticisms, comments, complaints, spalling corrections etc. are extremely welcome. I'd love to hear what you think/your experiences with it!

26 Jan 2016 esutter479

Coupons rule! :)

I like these mods, Bytemaster. It's almost eerie that we posted our Kim decklist updates at almost the same exact titme, haha. Let me know how your list works out for ya...and if mine doesn't for me, I may have to try yours out. :)

26 Jan 2016 TheBytemaster

Thanks! Yeah, that was odd.

Your list looks interesting too, I'll have to take it for a spin, who knows, maybe I'll get more ideas!

27 Jan 2016 pandaman64

I'm just obsessed enough with Eddie to be back for v2.

So I've been mulling over the list, and I can't help but feel that Data folding is a bit of a weak point. You NEED to use career fair with it or it's a very significant tempo setback (doesn't pay for itself until 3 turns later). You could run Liberated accounts instead, which is not only solid on it's own, but crazy with Career fair.

Also, considering ice carver and net ready eyes, I can't help but think that mimic/Yog.0 would be better here for less influence. Alternatively, if you're sure you want to stick with chameleon, Scheherazade is kind of...please run Scheherazade. Chameleon and Scheherazade are friends. They belong together.